


IRPF-Livre 2023 released

Suitable Online Bank(rupt)ing


The TRApp Trap: Services and Users TRApped in Telescreen-Running Apps

The TRApp Trap

Linux-libre turns 15!

RMS Tour Brazil & Argentina 2017

Events that promote free software

Richard Stallman in Brasil

Access to the Source Code of Imposed Tax Software

oh, drew, won't you ever cut the bs?
you take an "I was wrong, children need to be protected, but teens are not children" and leap from that to "teens don't need any protection whatsoever", which does not follow at all.
that's what my daughter calls neurotypism: making guesses about what's going on in a neurodivergent's mind as if the person were neurotypical. our minds are different and diverse even among ourselves, but you can't get that into your mind AFAICT because it would conflict with your determination to condemn an innocent person.
teens are not children, but they aren't adults either. their development requires progressive autonomy. your stance that they should have no say whatsoever as to their sexual development and experiences, because you say so and set out to destroy that who says otherwise, is the problem here. teens need increasing amounts of autonomy as they progress towards adulthood for the sake of their own development, and it's your push for infantilizing them is that is harmful.
moreover, development is not uniform, chronological ages are reference points but not determinant. there's diversity even there, and even more so among atypical people. your binary stance lacks the tolerance, inclusiveness, thoughtfulness and nuance that you'd see in RMS's speech if only you weren't so blinded by what you project onto him. why do you hate diversity of thought so much? 2024-09-26 22:01

like, "why won't this line [to the slaughterhouse] move faster?" is what I often get, paraphrased
it sucks to feel like cassandra 2024-09-26 20:20

I want that
and I want that from browsers too 2024-09-26 19:56

RT @hrefna As I have said before. # _is not a protocol_ in its base form. It is a _family_ of protocols that are not mutually intelligible.The reason it seems like it is mutually intelligible is because of a great deal of hard work from a lot of skilled volunteers dedicating their time to make things work together and to make it so that systems can talk to each other.But that's not something you get out of the box. 2024-09-26 19:51

Alexandre Oliva started following Kanji of the Day. 2024-09-26 19:50

so sorry, that sucks
have you checked your vitamins and minerals? just the other day I was talking to someone who's moderately knowledgeable on the matter, and a lot of depression these days seems to be strongly correlated with low levels of some essential micronutrients. fixing those has worked a lot better on me than prescriptions I got before. 2024-09-26 19:37

full disclosure: I don't carry a tracking device, I don't wish to carry a tracking device, and every public or private service that attempts to deny me service for this reasonable choice comes across not only as an accessibility barrier, but as an existential threat.
it's an artificial disability imposed on me, that I find myself constantly struggling with nowadays. it's become quite a trigger. 2024-09-26 19:33

Alexandre Oliva 2024-09-23

Neurodiversity and neurodivergence: for greater understanding
Alexandre Oliva 2024-09-23

Alexandre Oliva 2024-09-17

Free Assange!
Alexandre Oliva 2024-06-26

FSF disposition
Alexandre Oliva 2024-06-17

domingo, no parking
Alexandre Oliva 2024-06-03

signing digital documents
Alexandre Oliva 2024-06-01

Software Enshittification or Freedom? It's not a hard choice!
Alexandre Oliva 2024-05-08

bateria um descontrole
Alexandre Oliva 2024-04-25

What comes next are data records, not part of the article >
=====
1.
70
Properties=species:S:1:pos:R:3 method="wB97M-V/def2-TZVPD" homo_lumo_gap_ev=7.636 max_force_ev_per_a=10.3 e_homo_ev=-5.41 energy_ev=-106131.8703 total_charge=-1
N 0.955 0.512 1.297
O 1.055 -0.680 1.191
O 1.004 1.161 0.264
O 0.818 1.076 2.370
O -3.626 -0.584 -3.295
S -3.873 -0.451 -1.853
O -4.998 -1.175 -1.205
O -2.433 -0.897 -1.020
C -1.331 -1.025 -1.802
C -0.077 -1.447 -1.041
C -3.848 1.334 -1.356
H -1.198 -0.126 -2.403
H -1.517 -1.931 -2.380
H -0.298 -2.388 -0.535
H 0.270 -0.725 -0.301
H 0.727 -1.700 -1.732
H -4.215 1.383 -0.331
H -4.630 1.785 -1.968
H -2.925 1.848 -1.622
O 2.821 -4.396 1.896
S 2.203 -3.100 1.665
O 1.299 -2.647 2.745
O 3.448 -2.004 1.504
C 4.197 -1.512 2.543
C 3.867 -0.024 2.704
C 1.384 -3.033 0.020
H 5.252 -1.507 2.269
H 3.873 -2.047 3.435
H 4.338 0.590 1.936
H 4.364 0.379 3.586
H 2.792 0.104 2.835
H 2.048 -2.621 -0.741
H 0.455 -2.464 0.052
H 1.120 -4.016 -0.370
C -1.956 0.659 2.822
C -1.764 -0.542 3.765
C -0.886 -1.677 3.231
F -0.731 -2.745 4.050
F -1.176 -2.080 2.004
F -1.272 -0.197 4.944
F -3.014 -0.895 3.976
O -2.663 1.650 3.586
C -2.371 3.066 3.270
C -3.008 3.421 1.970
F -2.619 2.795 0.843
F -4.385 3.216 1.906
F -2.951 3.726 4.246
F -1.095 3.299 3.227
H -2.495 0.412 1.908
H -0.948 0.891 2.477
H 0.070 -1.165 3.123
H -2.965 4.496 1.795
C 0.654 1.477 -4.050
C 0.673 0.555 -5.259
C 0.055 -0.798 -4.815
F -1.225 -0.655 -4.379
F 0.122 -1.574 -5.926
F -0.061 1.161 -6.135
F 1.947 0.531 -5.843
O 1.780 0.996 -3.272
C 1.801 1.431 -2.001
C 3.158 1.268 -1.355
F 3.113 1.532 0.020
F 3.669 0.048 -1.471
F 1.606 2.741 -1.875
F 0.806 0.767 -1.384
H -0.294 1.378 -3.521
H 0.641 2.542 -4.280
H 0.623 -1.321 -4.045
H 3.834 1.921 -1.907


2.
47
Properties=species:S:1:pos:R:3 method="wB97M-V/def2-TZVPD" homo_lumo_gap_ev="2.931 / 7.094" max_force_ev_per_a=5.4 e_homo_ev="-0.35 / -4.52" energy_ev=-63089.0047 multiplicity=5 total_charge=-1 s2=6.082
O 0.143 2.810 -1.638
C 0.067 2.292 -0.605
Fe -0.149 1.504 1.045
C -1.081 2.977 1.586
O -1.641 3.964 1.822
C 1.305 2.265 1.672
O 2.215 2.928 1.966
C 0.896 -0.082 0.537
C 1.513 -0.763 1.730
C 0.565 -0.656 2.941
C -0.307 0.570 2.804
C -1.538 0.420 2.090
C -1.567 -0.330 0.894
C -0.423 -0.445 0.107
H 1.628 0.164 -0.246
H 1.732 -1.826 1.514
H 2.486 -0.302 1.962
H -0.080 -1.553 2.960
H 1.138 -0.657 3.881
H -0.277 1.250 3.666
H -2.460 0.834 2.508
H -2.538 -0.615 0.471
H -0.526 -0.755 -0.944
C 7.194 -0.275 -4.201
O 5.940 -0.857 -3.854
C 5.494 -0.475 -2.560
C 4.098 -1.050 -2.354
N 4.095 -2.466 -2.465
C 2.824 -3.114 -2.407
C 3.032 -4.603 -2.632
O 4.066 -4.999 -1.735
C 4.236 -6.409 -1.661
H 7.408 -0.593 -5.225
H 7.186 0.831 -4.170
H 8.008 -0.619 -3.540
H 6.171 -0.871 -1.776
H 5.410 0.628 -2.480
H 3.738 -0.701 -1.365
H 3.434 -0.650 -3.141
H 4.854 -2.960 -2.006
H 2.324 -2.980 -1.423
H 2.187 -2.709 -3.206
H 2.081 -5.128 -2.418
H 3.344 -4.761 -3.682
H 4.936 -6.585 -0.840
H 3.298 -6.954 -1.448
H 4.659 -6.826 -2.591


3.
47
=====

monstering cults
Alexandre Oliva 2024-03-17

Happy GNU Year
Alexandre Oliva 2023-12-31